Copy all of the material further down word for word.

-- begin --
Molecular formula: C38H39BrCuN6O5Si2
Method: DFT, ωB97M-V/def2-TZVPD

Structure (XYZ):
```
92
Properties=species:S:1:pos:R:3:mulliken_spin:R:1
Br -5.19206 3.41179 2.45977 0.000
Cu -0.66859 0.12490 0.43701 0.006
Si 0.68360 -2.03932 3.00262 0.000
Si -0.45974 -0.42422 4.24498 -0.001
O 4.07662 1.67029 -5.80996 0.004
O -1.78460 0.20644 2.36658 0.005
O 1.97445 0.41660 1.73786 0.000
O -0.83035 2.14511 0.20761 0.059
O -3.02728 1.69183 3.47903 -0.001
N 0.03702 -1.89506 0.52489 0.004
N -0.36677 0.31090 -1.74709 0.044
N 2.16954 -3.11453 0.78965 0.000
N -2.03122 3.57935 -5.08166 0.381
N -1.60295 -2.80644 -0.80151 -0.001
N -1.29696 3.22235 -6.13932 0.242
C -1.15369 2.43408 -1.02622 0.105
C 2.75500 2.10719 -5.82965 0.090
C 0.64004 2.07072 -6.98239 0.064
C -1.93191 -0.99134 5.28031 0.000
C -0.04016 -3.79861 2.99705 0.000
C -5.47543 2.23079 -0.03313 -0.001
C 2.54085 -1.51171 7.19537 0.000
C 1.73714 -3.99642 -0.12506 0.000
C 0.52415 -3.91685 -0.70593 -0.001
C 2.16617 -0.66710 0.84741 0.004
C 1.77534 -1.95891 4.55753 0.000
C 4.71328 1.70466 -4.55721 0.005
C -1.75762 3.11709 -3.80522 -0.103
C 1.35482 -1.93755 1.17896 0.001
C -0.13968 1.42481 4.19019 0.000
C -2.76561 1.04283 2.47109 -0.004
C -0.95744 0.82545 -4.41114 -0.049
C -4.26098 0.41919 -0.99579 0.000
C 0.85636 3.29293 -4.93352 0.126
C -2.12778 3.91633 -2.72156 0.145
C 2.87335 -2.63644 5.09006 0.000
C -0.38674 -0.36782 -4.03206 0.070
C 3.25830 -2.40852 6.40595 0.000
C -0.08280 -0.56800 -2.67919 -0.059
C 3.39672 -3.36506 1.52036 0.000
C -1.17909 1.84138 -3.46789 0.034
C 2.19186 2.92723 -4.85542 -0.047
C 1.43637 -0.84706 6.67497 0.000
C -0.89393 1.51799 -2.10262 0.060
C -5.25672 1.37500 -1.09627 0.002
C -1.80728 3.61064 -1.39636 -0.128
C 1.03603 -1.05499 5.35306 0.000
C -3.68623 1.19308 1.25282 0.003
C -4.70732 2.14071 1.12377 -0.005
C 1.97319 1.70165 -6.90017 -0.042
C -0.33604 -2.82664 -0.28235 -0.002
C -3.50960 0.34464 0.16054 0.004
C 0.02066 2.85259 -5.98735 -0.027
H 2.42338 1.07204 -7.66121 0.000
H 0.19509 -4.63488 -1.44168 0.000
H 2.78538 3.29027 -4.02444 -0.003
H 1.96927 -0.37119 -0.18983 -0.004
H -1.70257 -0.84118 6.34038 0.000
H 3.50331 -4.42989 1.73821 0.000
H 0.87928 1.61187 3.84172 0.000
H -0.97141 -3.84771 2.42433 0.000
H -2.69497 -0.36727 0.20809 -0.003
H -2.63268 4.84821 -2.95470 0.013
H 4.10953 -2.93453 6.82436 0.000
H 4.28507 -3.03395 0.97393 0.000
H -4.04452 -0.23844 -1.83029 0.000
H 0.88296 -0.16061 7.31247 0.000
H 4.97481 2.72506 -4.25502 0.001
H 0.66170 -4.51737 2.56040 0.000
H 5.63058 1.12399 -4.65400 0.000
H 2.43287 -4.79192 -0.36923 0.000
H 0.42958 3.92633 -4.16663 0.009
H -2.07939 4.29688 -0.59967 -0.002
H 1.12453 0.84914 1.54869 -0.001
H -6.23652 2.99605 -0.10006 0.000
H 0.37753 -1.49743 -2.34895 -0.007
H -0.24079 1.84196 5.19756 0.000
H -1.23534 0.99749 -5.44328 0.000
H -0.25258 -4.10747 4.02365 0.000
H -2.25733 -2.19467 -0.33997 -0.001
H 0.03659 1.73555 -7.81989 0.010
H 3.43242 -3.35797 4.49938 0.000
H 2.84441 -1.34123 8.22288 0.000
H -2.83247 -0.43587 5.02880 0.000
H -2.12013 -2.05923 5.12534 0.000
H 3.36418 -2.82488 2.46526 0.000
H 4.08593 1.26408 -3.77573 -0.003
H 3.22465 -0.91585 0.93530 0.000
H -0.17523 -1.14108 -4.76055 0.006
H -0.84595 1.93441 3.53215 -0.001
H -5.82879 1.48257 -2.00951 0.000
H -1.97667 -3.68925 -1.10163 0.000
```

Values from the calculation:
E_tot = -6969.699182 hartree
gap between HOMO and LUMO (alpha / beta) = 3.48 / 4.63 eV
multiplicity = 2
relative energy (zero: lowest compared OMol25 entry of this formula, charge and spin) = 61.0 kcal per mole
max |F| = 0.0175 hartree/bohr
total charge = -2

---

Molecular formula: C38H39FeN6OPS
Method: DFT, ωB97M-V/def2-TZVPD

Structure (XYZ):
```
87
Properties=species:S:1:pos:R:3:mulliken_spin:R:1
Fe 0.07611 0.01692 -0.11009 0.414
S -2.53252 -0.70427 2.19226 0.015
P -0.40136 2.41038 0.63159 0.231
O -1.47998 0.01639 1.32151 -0.055
N 0.31517 -1.93921 0.34250 0.024
N 1.71927 0.56497 0.94016 -0.014
N -0.34388 -4.04164 0.11058 0.000
N 0.75988 0.18052 -2.03116 -0.018
N -1.57738 -0.88936 -1.26803 -0.006
-- stop --

Molecular formula: C38H39BrCuN6O5Si2
Method: DFT, ωB97M-V/def2-TZVPD

Structure (XYZ):
```
92
Properties=species:S:1:pos:R:3:mulliken_spin:R:1
Br -5.19206 3.41179 2.45977 0.000
Cu -0.66859 0.12490 0.43701 0.006
Si 0.68360 -2.03932 3.00262 0.000
Si -0.45974 -0.42422 4.24498 -0.001
O 4.07662 1.67029 -5.80996 0.004
O -1.78460 0.20644 2.36658 0.005
O 1.97445 0.41660 1.73786 0.000
O -0.83035 2.14511 0.20761 0.059
O -3.02728 1.69183 3.47903 -0.001
N 0.03702 -1.89506 0.52489 0.004
N -0.36677 0.31090 -1.74709 0.044
N 2.16954 -3.11453 0.78965 0.000
N -2.03122 3.57935 -5.08166 0.381
N -1.60295 -2.80644 -0.80151 -0.001
N -1.29696 3.22235 -6.13932 0.242
C -1.15369 2.43408 -1.02622 0.105
C 2.75500 2.10719 -5.82965 0.090
C 0.64004 2.07072 -6.98239 0.064
C -1.93191 -0.99134 5.28031 0.000
C -0.04016 -3.79861 2.99705 0.000
C -5.47543 2.23079 -0.03313 -0.001
C 2.54085 -1.51171 7.19537 0.000
C 1.73714 -3.99642 -0.12506 0.000
C 0.52415 -3.91685 -0.70593 -0.001
C 2.16617 -0.66710 0.84741 0.004
C 1.77534 -1.95891 4.55753 0.000
C 4.71328 1.70466 -4.55721 0.005
C -1.75762 3.11709 -3.80522 -0.103
C 1.35482 -1.93755 1.17896 0.001
C -0.13968 1.42481 4.19019 0.000
C -2.76561 1.04283 2.47109 -0.004
C -0.95744 0.82545 -4.41114 -0.049
C -4.26098 0.41919 -0.99579 0.000
C 0.85636 3.29293 -4.93352 0.126
C -2.12778 3.91633 -2.72156 0.145
C 2.87335 -2.63644 5.09006 0.000
C -0.38674 -0.36782 -4.03206 0.070
C 3.25830 -2.40852 6.40595 0.000
C -0.08280 -0.56800 -2.67919 -0.059
C 3.39672 -3.36506 1.52036 0.000
C -1.17909 1.84138 -3.46789 0.034
C 2.19186 2.92723 -4.85542 -0.047
C 1.43637 -0.84706 6.67497 0.000
C -0.89393 1.51799 -2.10262 0.060
C -5.25672 1.37500 -1.09627 0.002
C -1.80728 3.61064 -1.39636 -0.128
C 1.03603 -1.05499 5.35306 0.000
C -3.68623 1.19308 1.25282 0.003
C -4.70732 2.14071 1.12377 -0.005
C 1.97319 1.70165 -6.90017 -0.042
C -0.33604 -2.82664 -0.28235 -0.002
C -3.50960 0.34464 0.16054 0.004
C 0.02066 2.85259 -5.98735 -0.027
H 2.42338 1.07204 -7.66121 0.000
H 0.19509 -4.63488 -1.44168 0.000
H 2.78538 3.29027 -4.02444 -0.003
H 1.96927 -0.37119 -0.18983 -0.004
H -1.70257 -0.84118 6.34038 0.000
H 3.50331 -4.42989 1.73821 0.000
H 0.87928 1.61187 3.84172 0.000
H -0.97141 -3.84771 2.42433 0.000
H -2.69497 -0.36727 0.20809 -0.003
H -2.63268 4.84821 -2.95470 0.013
H 4.10953 -2.93453 6.82436 0.000
H 4.28507 -3.03395 0.97393 0.000
H -4.04452 -0.23844 -1.83029 0.000
H 0.88296 -0.16061 7.31247 0.000
H 4.97481 2.72506 -4.25502 0.001
H 0.66170 -4.51737 2.56040 0.000
H 5.63058 1.12399 -4.65400 0.000
H 2.43287 -4.79192 -0.36923 0.000
H 0.42958 3.92633 -4.16663 0.009
H -2.07939 4.29688 -0.59967 -0.002
H 1.12453 0.84914 1.54869 -0.001
H -6.23652 2.99605 -0.10006 0.000
H 0.37753 -1.49743 -2.34895 -0.007
H -0.24079 1.84196 5.19756 0.000
H -1.23534 0.99749 -5.44328 0.000
H -0.25258 -4.10747 4.02365 0.000
H -2.25733 -2.19467 -0.33997 -0.001
H 0.03659 1.73555 -7.81989 0.010
H 3.43242 -3.35797 4.49938 0.000
H 2.84441 -1.34123 8.22288 0.000
H -2.83247 -0.43587 5.02880 0.000
H -2.12013 -2.05923 5.12534 0.000
H 3.36418 -2.82488 2.46526 0.000
H 4.08593 1.26408 -3.77573 -0.003
H 3.22465 -0.91585 0.93530 0.000
H -0.17523 -1.14108 -4.76055 0.006
H -0.84595 1.93441 3.53215 -0.001
H -5.82879 1.48257 -2.00951 0.000
H -1.97667 -3.68925 -1.10163 0.000
```

Values from the calculation:
E_tot = -6969.699182 hartree
gap between HOMO and LUMO (alpha / beta) = 3.48 / 4.63 eV
multiplicity = 2
relative energy (zero: lowest compared OMol25 entry of this formula, charge and spin) = 61.0 kcal per mole
max |F| = 0.0175 hartree/bohr
total charge = -2

---

Molecular formula: C38H39FeN6OPS
Method: DFT, ωB97M-V/def2-TZVPD

Structure (XYZ):
```
87
Properties=species:S:1:pos:R:3:mulliken_spin:R:1
Fe 0.07611 0.01692 -0.11009 0.414
S -2.53252 -0.70427 2.19226 0.015
P -0.40136 2.41038 0.63159 0.231
O -1.47998 0.01639 1.32151 -0.055
N 0.31517 -1.93921 0.34250 0.024
N 1.71927 0.56497 0.94016 -0.014
N -0.34388 -4.04164 0.11058 0.000
N 0.75988 0.18052 -2.03116 -0.018
N -1.57738 -0.88936 -1.26803 -0.006